-- Work order --
Search the notes further down for the word "is" and print each line that has it.

-- Excerpt --
-- begin --
No. 1
The following is a quantum chemistry calculation of 5 unconnected molecules or ions with the total composition C51H52Br2F4N2O5P, from OMol25.

Geometry as XYZ:
```
117
Properties=species:S:1:pos:R:3:forces:R:3
C 0.0201 -5.4074 4.9624 -2.6 10.2 -0.8
C -0.3798 -4.0372 4.9829 2.6 -9.0 -1.6
C -0.9019 -2.4939 4.6046 0.2 -1.3 0.4
C -0.1817 -1.9237 3.2481 1.6 0.7 -4.2
C 0.9932 -0.7324 3.2256 -0.4 -1.5 -1.0
C 1.4571 -0.0706 4.6873 0.0 1.0 -1.1
C 0.7668 1.4435 4.7095 -0.5 0.1 -0.7
C -0.6134 1.5287 5.5904 -0.2 1.9 0.4
C -1.9063 2.1586 4.7394 -0.1 -1.2 0.3
C -2.4481 1.0406 3.6252 0.0 0.4 0.6
C -4.0934 0.9192 3.5832 0.4 -2.2 0.0
O -4.7521 1.9375 2.7376 -2.4 -2.6 -0.2
C -6.1279 1.4172 2.4435 -5.5 -0.7 4.5
O -7.0674 1.3769 3.4291 6.6 0.5 -6.1
C -6.6219 0.9125 0.9541 -1.6 2.7 -2.6
C -7.4565 1.8275 0.0778 2.0 -2.3 2.8
N 1.6859 -0.2360 2.0036 -3.7 -3.4 2.7
N 1.3397 -0.7940 0.8127 -2.6 -1.9 -1.0
C 2.1307 -0.2705 -0.4100 2.0 -0.5 -0.8
C 3.2859 0.8227 -0.0205 -0.4 1.2 -1.0
C 2.5904 2.3147 0.0512 -1.5 3.7 -0.2
C 2.0915 2.9413 -1.4165 -0.5 2.1 2.2
C 1.4177 4.4221 -1.6153 1.4 -1.9 4.4
C 1.2176 5.3430 -0.2572 1.9 -4.2 0.0
C 1.6944 4.7327 1.1904 0.5 -1.6 -2.6
C 2.3873 3.2256 1.3984 -1.3 1.1 -4.8
C 0.3124 -1.8418 0.4625 -0.4 -0.2 3.0
C 0.0645 -2.3058 -1.0913 2.2 -2.2 -0.5
Br -1.4330 -1.3344 -2.0769 2.0 -1.0 1.5
C 0.8203 -3.3555 -1.8272 -3.0 3.2 0.8
C 0.3831 -3.5919 -3.4164 -0.2 0.1 0.5
Br 2.2692 -4.3950 -0.9222 -1.8 1.4 -1.1
C -0.5604 -2.5060 1.7258 4.1 3.0 1.8
P -1.8602 -3.8621 1.3907 -5.4 -0.1 -4.7
O -2.9604 -3.2155 0.4055 4.3 -1.9 3.9
O -2.7144 -4.4389 2.7930 1.6 2.5 -2.0
O -1.1898 -5.2248 0.4798 -1.8 2.4 2.2
H 0.4638 -6.4805 4.7737 -1.2 2.8 0.8
H -0.7198 -1.8582 5.5706 -0.1 -1.0 -2.2
H -2.0621 -2.4937 4.4083 2.4 -0.2 0.4
H 1.1434 -0.7267 5.6057 0.5 1.2 -2.1
H 2.6164 0.1048 4.7591 -2.3 -0.7 -0.6
H 0.4729 1.7014 3.5843 0.8 -0.4 2.4
H 1.5559 2.2721 5.0479 -1.8 -2.0 -0.6
H -0.9265 0.5358 6.1253 0.7 1.7 -1.2
H -0.4095 2.3253 6.4551 -0.5 -1.9 -1.7
H -2.7853 2.2621 5.5232 1.8 0.1 -1.6
H -1.6401 3.1994 4.2426 -0.6 -2.2 1.1
H -1.9756 1.2369 2.5471 -1.2 -0.5 2.3
H -2.0585 -0.0085 4.0402 -1.0 2.1 -1.1
H -4.3249 -0.1315 3.0660 0.6 2.0 1.1
H -4.5842 0.8376 4.6639 1.2 0.6 -2.3
H -6.4033 -0.1733 0.5089 0.5 2.8 1.1
H -8.2573 2.5530 0.5819 2.6 -1.1 -1.3
H -7.3167 1.7843 -1.0977 -0.9 -0.5 2.7
H 2.6925 -1.2270 -0.8378 -1.3 1.9 0.9
H 1.4285 0.1366 -1.2541 1.1 -0.7 2.0
H 3.9501 0.5469 0.9022 -1.6 0.5 -1.7
H 4.0309 0.8629 -0.9527 -1.8 -0.2 2.0
H 2.2514 2.2834 -2.3982 -0.3 1.5 2.4
H 1.0852 4.7976 -2.6819 0.8 -0.9 2.5
H 0.7528 6.4116 -0.3918 1.1 -2.4 0.6
H 1.5758 5.4076 2.1491 0.2 -1.5 -2.2
H 2.7265 2.8056 2.4363 -0.8 1.1 -2.2
H -0.7771 -3.8683 -3.4560 2.6 0.5 0.3
H 0.4676 -2.5501 -3.9913 0.1 -2.4 1.3
H 1.0222 -4.4275 -3.9359 -1.3 1.8 1.3
H -3.3443 -3.6731 3.0362 1.1 -1.7 -0.8
H -1.9575 -5.5624 -0.0868 1.1 0.9 1.1
F 2.4354 -3.7149 -5.5763 -0.2 0.5 0.2
C 3.1336 -4.7178 -6.1252 0.8 -1.1 -0.6
C 4.5201 -4.7244 -6.0196 -0.1 0.1 0.1
C 5.2471 -5.7711 -6.5865 -0.5 -0.1 -0.2
C 4.5793 -6.7951 -7.2628 0.0 0.2 -0.1
C 3.1877 -6.7769 -7.3678 0.3 0.3 0.1
C 2.4604 -5.7360 -6.7912 -0.1 0.1 0.1
H 5.0221 -3.9162 -5.4977 -0.1 -0.1 0.0
H 6.3309 -5.7895 -6.5027 -0.2 0.0 0.0
H 5.1471 -7.6090 -7.7087 -0.1 0.2 0.1
H 2.6705 -7.5728 -7.8982 0.1 0.2 0.1
H 1.3777 -5.7108 -6.8556 0.1 0.0 0.0
F -3.4839 6.8383 0.1498 0.3 0.1 -0.1
C -4.6119 6.3988 0.7235 -1.0 -0.4 0.5
C -5.7147 7.2425 0.7993 0.1 0.0 0.0
C -6.8910 6.7836 1.3919 0.3 -0.4 0.0
C -6.9479 5.4883 1.9125 0.0 0.1 -0.1
C -5.8340 4.6508 1.8361 -0.2 0.4 -0.1
C -4.6616 5.1062 1.2335 0.1 0.0 0.0
H -5.6493 8.2482 0.3970 0.0 -0.1 0.0
H -7.7612 7.4327 1.4492 0.2 -0.1 0.0
H -7.8641 5.1323 2.3786 0.2 0.1 -0.1
H -5.8793 3.6446 2.2456 0.0 0.7 -0.1
H -3.7893 4.4655 1.1576 -0.1 0.1 0.0
F 4.3275 -8.6192 -5.1804 0.1 -0.1 0.0
C 3.6403 -8.9181 -4.0700 -0.5 -0.3 0.8
C 3.0099 -7.9015 -3.3610 0.0 0.1 0.0
C 2.2900 -8.2129 -2.2076 0.2 -0.5 -0.2
C 2.2177 -9.5375 -1.7696 0.0 0.1 0.0
C 2.8582 -10.5502 -2.4852 0.0 0.4 -0.1
C 3.5685 -10.2400 -3.6446 0.0 0.0 0.0
-- stop --

-- Reply --
The following is a quantum chemistry calculation of 5 unconnected molecules or ions with the total composition C51H52Br2F4N2O5P, from OMol25.